Activity:
It remains to give back the part of the listing underneath that starts with the line with "34.6," and stops after the one with "28, (2".

Contents:
........
[1]
Structure and theoretical powder diffractogram of Ce3HIr (a DFT-relaxed cell (GGA-PBE, Alexandria); Cu Kα X-rays).
Neutral-atom scattering factors, no anomalous dispersion.

Atomic structure:
Unit cell a=5.190 b=12.896 c=6.217 alpha=90.00 beta=90.00 gamma=90.00
Space group Cmc2_1 (No. 36)
Asymmetric unit:
Ce 0.000 0.086 0.000 (multiplicity 4)
Ce 0.000 0.282 0.774 (multiplicity 4)
Ce 0.000 0.400 0.175 (multiplicity 4)
H 0.000 0.425 0.542 (multiplicity 4)
Ir 0.000 0.128 0.460 (multiplicity 4)

Peak list (8 most intense, 2θ = 10–90°, most intense first)
- 2θ 34.3, I 100, (1 1 2)
- 2θ 30.6, I 76, (1 3 1)
- 2θ 34.6, I 71, (2 0 0)
- 2θ 39.8, I 31, (1 3 2)
- 2θ 47.8, I 31, (1 1 3)
- 2θ 27.7, I 28, (0 4 0)
- 2θ 41.7, I 25, (1 5 1)
- 2θ 19.8, I 25, (0 2 1)

***

[2]
Structure and theoretical powder diffractogram of Ce2H2Ir (a DFT-relaxed cell (GGA-PBE, Alexandria); Cu Kα X-rays).
Neutral-atom scattering factors, no anomalous dispersion.

Atomic structure:
Unit cell a=7.217 b=9.537 c=9.819 alpha=90.00 beta=90.00 gamma=90.00
Space group Fddd (No. 70, origin choice 2)
Asymmetric unit:
Ce 0.125 0.345 0.125 (multiplicity 16)
H 0.125 0.125 0.015 (multiplicity 16)
Ir 0.125 0.125 0.625 (multiplicity 8)

Peak list (8 most intense, 2θ = 10–90°, most intense first)
- 2θ 30.8, I 100, (2 0 2)
- 2θ 32.1, I 45, (1 3 1)
- 2θ 49.4, I 38, (2 4 2)
- 2θ 36.6, I 31, (0 0 4)
- 2θ 17.9, I 30, (1 1 1)
- 2θ 41.5, I 23, (1 3 3)
- 2θ 37.7, I 21, (0 4 0)
- 2θ 75.2, I 15, (2 4 6)

***

[3]
Structure and theoretical powder diffractogram of Ce2P2H4Ir (a DFT-relaxed cell (GGA-PBE, Alexandria); Cu Kα X-rays).
Neutral-atom scattering factors, no anomalous dispersion.

Atomic structure:
Unit cell a=5.529 b=5.529 c=8.343 alpha=90.00 beta=90.00 gamma=90.00
Space group I4/mmm (No. 139)
Asymmetric unit:
Ce 0.000 0.500 0.250 (multiplicity 4)
P 0.000 0.000 0.209 (multiplicity 4)
H 0.218 0.218 0.500 (multiplicity 8)
Ir 0.000 0.000 0.500 (multiplicity 2)

Peak list (8 most intense, 2θ = 10–90°, most intense first)
- 2θ 31.4, I 100, (1 1 2)
- 2θ 32.4, I 74, (2 0 0)
- 2θ 19.3, I 58, (1 0 1)
- 2θ 57.1, I 37, (3 1 2)
- 2θ 55.2, I 29, (2 0 4)
- 2θ 46.5, I 28, (2 2 0)
- 2θ 36.2, I 22, (1 0 3)
- 2θ 38.0, I 21, (2 1 1)

***

[4]
Structure and theoretical powder diffractogram of CeH8Ir2Pt (a DFT-relaxed cell (GGA-PBE, Alexandria); Cu Kα X-rays).
Neutral-atom scattering factors, no anomalous dispersion.

Atomic structure:
Unit cell a=4.7595 b=4.7595 c=17.2326 alpha=90.00 beta=90.00 gamma=120.00
Space group R-3 (No. 148, hexagonal axes)
Asymmetric unit:
Ce 0.0000 0.0000 0.0000 (multiplicity 3)
H 0.0000 0.0000 0.3194 (multiplicity 6)
H 0.0115 0.6497 0.2275 (multiplicity 18)
Ir 0.0000 0.0000 0.2256 (multiplicity 6)
Pt 0.0000 0.0000 0.5000 (multiplicity 3)

Peak list (8 most intense, 2θ = 10–90°, most intense first)
- 2θ 30.0, I 100, (1 0 4)
- 2θ 37.8, I 67, (1 1 0)
- 2θ 63.5, I 30, (2 1 4)
- 2θ 49.0, I 26, (0 2 4)
- 2θ 15.4, I 19, (0 0 3)
- 2θ 88.5, I 15, (4 -3 4)
- 2θ 47.6, I 14, (0 1 8)
- 2θ 42.8, I 14, (1 0 7)
........

Here it is:
- 2θ 34.6, I 71, (2 0 0)
- 2θ 39.8, I 31, (1 3 2)
- 2θ 47.8, I 31, (1 1 3)
- 2θ 27.7, I 28, (0 4 0)
- 2θ 41.7, I 25, (1 5 1)
- 2θ 19.8, I 25, (0 2 1)

***

[2]
Structure and theoretical powder diffractogram of Ce2H2Ir (a DFT-relaxed cell (GGA-PBE, Alexandria); Cu Kα X-rays).
Neutral-atom scattering factors, no anomalous dispersion.

Atomic structure:
Unit cell a=7.217 b=9.537 c=9.819 alpha=90.00 beta=90.00 gamma=90.00
Space group Fddd (No. 70, origin choice 2)
Asymmetric unit:
Ce 0.125 0.345 0.125 (multiplicity 16)
H 0.125 0.125 0.015 (multiplicity 16)
Ir 0.125 0.125 0.625 (multiplicity 8)

Peak list (8 most intense, 2θ = 10–90°, most intense first)
- 2θ 30.8, I 100, (2 0 2)
- 2θ 32.1, I 45, (1 3 1)
- 2θ 49.4, I 38, (2 4 2)
- 2θ 36.6, I 31, (0 0 4)
- 2θ 17.9, I 30, (1 1 1)
- 2θ 41.5, I 23, (1 3 3)
- 2θ 37.7, I 21, (0 4 0)
- 2θ 75.2, I 15, (2 4 6)

***

[3]
Structure and theoretical powder diffractogram of Ce2P2H4Ir (a DFT-relaxed cell (GGA-PBE, Alexandria); Cu Kα X-rays).
Neutral-atom scattering factors, no anomalous dispersion.

Atomic structure:
Unit cell a=5.529 b=5.529 c=8.343 alpha=90.00 beta=90.00 gamma=90.00
Space group I4/mmm (No. 139)
Asymmetric unit:
Ce 0.000 0.500 0.250 (multiplicity 4)
P 0.000 0.000 0.209 (multiplicity 4)
H 0.218 0.218 0.500 (multiplicity 8)
Ir 0.000 0.000 0.500 (multiplicity 2)

Peak list (8 most intense, 2θ = 10–90°, most intense first)
- 2θ 31.4, I 100, (1 1 2)
- 2θ 32.4, I 74, (2 0 0)
- 2θ 19.3, I 58, (1 0 1)
- 2θ 57.1, I 37, (3 1 2)
- 2θ 55.2, I 29, (2 0 4)
- 2θ 46.5, I 28, (2 2 0)